The Age of Wonder
Around midnight, on March 13, 1781, William Herschel, an amateur astronomer from the West Country of England, was surveying the northern sky with a custom-built reflector telescope. As the Gemini constellation slid into view he noticed a new object moving slowly across the foreground. On a lesser telescope, the object would probably be dismissed as a new comet — one of the hundreds being discovered at the time. But the precision of Herschel’s five-inch, hand-polished reflector mirror was unmatched in England, if not the world, allowing him to note the absence of a comet’s distinctive tail.
This was something different.
If you review Herschel’s journal entries from this period you’ll notice that he’s no stranger to hard work. On most nights, during the good winter observation months, his notes begin around 7 pm and end near dawn. He repeated this laborious work, night after night, year after year, systematically mapping the northern sky. As Richard Holmes details in The Age of Wonder, his epic survey of the Romantic Era of science, Herschel enjoyed these labors. In a letter written to the Royal Astronomer, Nivel Maskelyne, for example, Herschel excuses his sometimes unrestrained excitement, saying it “may perhaps be ascribed to a certain Enthusiasm which an observer…can hardly divest himself of when he sees such Wonders before him.”
The attraction of these “Wonders” is made clear by the events that followed that long March night. Though it required another nine nights of careful observation before Herschel made his first “tentative communications” regarding the new object, and several months to receive confirmation from other astronomers, its importance had long before become obvious. Herschel had discovered Uranus — the first new planet since the age of Ptolemy; an event, as Holmes puts it, that would “[change] not only the solar system, but [revolutionize] the way men of science thought about its stability and creation.”
Attached: data records
=====
Entry 1:
{
  "formula": "Fe2CoNi2",
  "functional": "GGA-PBE",
  "state": "optimized geometry",
  "lattice_angstrom": [[-1.699, 1.699, 5.475], [1.699, -1.699, 5.475], [1.699, 1.699, -5.475]],
  "species": ["Fe", "Fe", "Co", "Ni", "Ni"],
  "fractional_positions": [[0.250, 0.750, 0.500], [0.750, 0.250, 0.500], [0.000, 0.000, 0.000], [0.400, 0.400, 0.000], [0.600, 0.600, 0.000]],
  "crystal_system": "tetragonal",
  "delta_e_f_ev_per_atom": 0.465
}

---

Entry 2:
{
  "formula": "PmGdBeGa",
  "functional": "GGA-PBE",
  "state": "optimized geometry",
  "lattice_angstrom": [[0.000, 3.571, 3.571], [3.571, 0.000, 3.571], [3.571, 3.571, 0.000]],
  "species": ["Pm", "Gd", "Be", "Ga"],
  "fractional_positions": [[0.000, 0.000, 0.000], [0.500, 0.500, 0.500], [0.750, 0.750, 0.750], [0.250, 0.250, 0.250]],
  "crystal_system": "cubic",
  "delta_e_f_ev_per_atom": -0.196
}

---

Entry 3:
{
  "formula": "GaReN2",
  "functional": "GGA-PBE",
  "state": "optimized geometry",
  "lattice_angstrom": [[-2.377, 2.377, 4.312], [2.377, -2.377, 4.312], [2.377, 2.377, -4.312]],
  "species": ["Ga", "Ga", "Re", "Re", "N", "N", "N", "N"],
  "fractional_positions": [[0.000, 0.000, 0.000], [0.750, 0.250, 0.500], [0.250, 0.750, 0.500], [0.500, 0.500, 0.000], [0.115, 0.625, 0.990], [0.375, 0.365, 0.490], [0.635, 0.125, 0.010], [0.875, 0.885, 0.510]],
  "e_form_raw_ev_per_atom": 0.324,
  "crystal_system": "tetragonal"
}

---

Entry 4:
{
  "formula": "BeFe2Se",
  "functional": "GGA-PBE",
  "state": "optimized geometry",
  "lattice_angstrom": [[-1.760, 1.760, 8.309], [1.760, -1.760, 8.309], [1.760, 1.760, -8.309]],
  "species": ["Be", "Be", "Fe", "Fe", "Fe", "Fe", "Se", "Se"],
  "fractional_positions": [[0.000, 0.000, 0.000], [0.750, 0.250, 0.500], [0.110, 0.625, 0.985], [0.375, 0.360, 0.485], [0.640, 0.125, 0.015], [0.875, 0.890, 0.515], [0.250, 0.750, 0.500], [0.500, 0.500, 0.000]],
  "e_form_raw_ev_per_atom": 0.259,
  "crystal_system": "tetragonal"
}

---

Quick rundown of spin magnetization, same order as above: 8.45 7.55 1.44 8.93 μB per cell


Entry 1:
## Y2ZrGeRh (PBE)

Data for a geometry-optimized Y2ZrGeRh structure.

```
data_Y2ZrGeRh
_chemical_formula_sum 'Y2 Zr1 Ge1 Rh1'
_symmetry_space_group_name_H-M 'P 4/m m m'
_symmetry_Int_Tables_number 123
_symmetry_space_group_name_Hall '-P 4 2'
_cell_length_a 5.3130
_cell_length_b 5.3130
_cell_length_c 4.7194
_cell_angle_alpha 90.00
_cell_angle_beta 90.00
_cell_angle_gamma 90.00
loop_
_atom_site_label
_atom_site_fract_x
_atom_site_fract_y
_atom_site_fract_z
_atom_site_occupancy
Y1 0.0000 0.5000 0.0000 1
Zr1 0.0000 0.0000 0.5000 1
Ge1 0.5000 0.5000 0.5000 1
Rh1 0.5000 0.5000 0.0000 1
```

electronic total energy = -6.709 eV per atom
calculated formation energy = -0.020 eV per atom
magnetic moment = 2.957 μB per formula unit

Entry 2:
## Sm3MgCd7 (PBE)

Data for a geometry-optimized Sm3MgCd7 structure.

```
data_Sm3MgCd7
_chemical_formula_sum 'Sm12 Mg4 Cd28'
_symmetry_space_group_name_H-M 'C m c m'
_symmetry_Int_Tables_number 63
=====
The Romantic in the Classroom
Herschel was a man of the Romantic Era, a period spanning from the mid 18th century into the early decades of the 19th. The scientists of this era recast their work from an exercise in cold rationality to an aesthetic experience. They reveled in the difficult work of teasing truth out of a reclusive Nature, and experienced frequent moments of awe.
As a young scientist myself, this era is appealing for obvious reasons. More surprising, however, is its relevance to my role as writer of student advice. I claim that we can draw from the ethos of these Romantic Scholars a new approach to student life: one that can transform your education experience — high school through graduate school — from a trial to survive into the foundation of a life well-lived.
The Romantic Scholar Approach to Student Life
In a recent post, I outlined the dangers of seeing school as a trial to survive. When you adopt a mindset of suffering now for rewards later, I argued, you run the risk of wallowing in this suffering well beyond graduation, eventually losing sight of what originally motivated these sacrifices. The article, however, inspires an obvious follow-up question: What should we do instead?
My broad answer to this question is familiar to any long-time Study Hacks reader: adopt the Zen Valedictorian philosophy, which claims it’s possible to be impressive and earn interesting opportunities while still living an enjoyable life. The big picture ideas behind the Zen Valedictorian include doing much less, but doing these things much better. There are, however, many different lifestyles that satisfy this philosophy.
In this post, I want to introduce a new series that will outline a specific set of strategies for making the promise of the Zen Valedictorian a reality. I call these strategies the Romantic Scholar approach to student life. This approach is inspired by the Romantic Era scientists and their ability to experience the hard work of systematic science as a rewarding aesthetic experience. My goal is to transform your student life into one where you find deep satisfaction in your course work and experience frequent moments of wonder. I don’t want school to be a grinding process of pre-professional dues paying. It should instead be the core of live a well-lived right now.
Though I haven’t finalized all the details, I wanted to summarize the two big ideas behind this approach and the style of strategies they might inspire:
- Finding Enjoyment in Difficult Work
The ability to revel in the sometimes laborious craft of science was a hallmark of the Romantic scientist. A goal of this series is to transform the hard work of a problem set or knotty reading assignment into an fulfilling experience. This is not an easy shift, and it will require several significant lifestyle changes before it can become natural. Among other changes, you’ll have to commit to doing much less, starting work much earlier, and finding more adventurous locations — strategies designed to transform your motivation from extrinsic to intrinsic. - Finding Awe in Learning
The Romantic Era scientists were driven by what Herschel called “the Wonders” they saw before them. Our current culture of seeing school as a trial to survive, by contrast, has stripped learning of its ability to produce these same moments of awe. The second goal of this series is to reclaim this experience. Among other strategies, we’ll explore the idea of interleaving your assignments with similar work that is fully self-initiated, and the value of forming Philosophic Libation Societies: a revival of the age-old scholarly ritual of debating ideas over a stiff drink in a dark room.
My plan is to interleave these posts with the Rethinking Passion series I launched earlier this month. Whereas the Romantic Scholar series is aimed at student’s looking to take control of their academic lives, the Rethinking Passion series is aimed at graduates looking to take control of their occupational destiny. Of course, this split is somewhat artificial, and I hope readers of either series will find worth in the other, as both deal with the same underlying drive: what’s the reality of building a life worth living?
(Photo by Marquette University)
Looking forward to reading both series. So excited about it ! Thanks a lot Cal.
Hurray! I love this idea. Too many people are taking the fun out of school today. I agree with you that learning new things can be fascinating. New skills, projects, writing, reports, journals, all kinds of new things are a chance to grow and reach new heights of learning and skill.
I think that the best sort of classes are challenging, but rewarding. I love your Romantic approach!
Once again Cal you continue to deliver the goods – I’m looking forward to reading the new series.
Someone pasted crystal structures at this point:
-- begin --
# 1
Density functional theory data (PBE) for Er2Ga5Pd2Rh after structural relaxation.

abc: 4.1142 9.3347 9.3347
angles: 90.00 90.00 90.00
With the nearest neighbours (Å) after each atom.
Element x y z (fractional)
Ga  0.5000  0.9462  0.1962  3 Ga 2.69-2.88, 2 Pd 2.77, 2 Rh 2.80
Ga  0.5000  0.0538  0.8038  3 Ga 2.69-2.88, 2 Pd 2.77, 2 Rh 2.80
Ga  0.5000  0.3038  0.5538  3 Ga 2.69-2.88, 2 Pd 2.77, 2 Rh 2.80
Ga  0.5000  0.1962  0.0538  3 Ga 2.69-2.88, 2 Pd 2.77, 2 Rh 2.80
Ga  0.5000  0.5538  0.6962  3 Ga 2.69-2.88, 2 Pd 2.77, 2 Rh 2.80
Ga  0.5000  0.8038  0.9462  3 Ga 2.69-2.88, 2 Pd 2.77, 2 Rh 2.80
Ga  0.5000  0.5000  0.0000  4 Pd 2.56
Ga  0.5000  0.0000  0.5000  4 Pd 2.56
Ga  0.5000  0.4462  0.3038  3 Ga 2.69-2.88, 2 Pd 2.77, 2 Rh 2.80
Ga  0.5000  0.6962  0.4462  3 Ga 2.69-2.88, 2 Pd 2.77, 2 Rh 2.80
Er  0.0000  0.1827  0.3173  3 Pd 2.67-2.85
Er  0.0000  0.3173  0.8173  3 Pd 2.67-2.85
Er  0.0000  0.6827  0.1827  3 Pd 2.67-2.85
Er  0.0000  0.8173  0.6827  3 Pd 2.67-2.85
Pd  0.0000  0.3852  0.1148  6 Ga 2.56-2.77, 3 Er 2.67-2.85
Pd  0.0000  0.6148  0.8852  6 Ga 2.56-2.77, 3 Er 2.67-2.85
Pd  0.0000  0.8852  0.3852  6 Ga 2.56-2.77, 3 Er 2.67-2.85
Pd  0.0000  0.1148  0.6148  6 Ga 2.56-2.77, 3 Er 2.67-2.85
Rh  0.0000  0.5000  0.5000  8 Ga 2.80
Rh  0.0000  0.0000  0.0000  8 Ga 2.80

Computed properties:
Spin magnetization = 0.000 μB/atom
Space group = P4/mbm
DFT total energy = -48.15 eV/f.u.
Calculated formation energy = -0.62 eV/atom

***

# 2
Density functional theory data (PBE) for ErGa4Pd2Ru after structural relaxation.

abc: 4.2636 4.2636 8.9318
angles: 76.19 76.19 60.00
With the nearest neighbours (Å) after each atom.
Element x y z (fractional)
Pd  0.2392  0.2392  0.2824  7 Ga 2.58-2.73
Pd  0.7608  0.7608  0.7176  7 Ga 2.58-2.73
Er  0.0000  0.0000  0.0000  6 Ga 2.97
Ga  0.6024  0.6024  0.1928  3 Pd 2.58, 1 Ru 2.64
Ga  0.1331  0.1331  0.6007  3 Ru 2.61, 4 Pd 2.66-2.73
Ga  0.3976  0.3976  0.8072  3 Pd 2.58, 1 Ru 2.64
Ga  0.8669  0.8669  0.3993  3 Ru 2.61, 4 Pd 2.66-2.73
Ru  0.5000  0.5000  0.5000  8 Ga 2.61-2.64

Computed properties:
Spin magnetization = 0.000 μB/atom
Space group = R-3m
DFT total energy = -40.85 eV/f.u.
Calculated formation energy = -0.57 eV/atom

~~~~~

Record 1
VASP calculation (PBE-GGA) on a relaxed structure of SrBe2Os.

The structure in POSCAR format:
```
SrBe2Os
1.0
5.5459 0.0012 0.0023
2.7059 4.8409 -0.0023
-3.3653 -3.7173 2.3693
Sr Be Os
1 2 1
direct
0.2509 0.7509 0.5000
0.7462 0.2462 0.5000
0.9542 0.9542 0.0000
0.5486 0.5486 0.0000
```

## Properties
Space-group type: Imm2, No. 44
Energy of formation (eV/atom): 0.71
Total DFT energy (no corrections) (eV per atom): -4.3773
Offset from the most stable computed form (meV per atom): 670.7
Magnetization (μB/cell): 0.00
Fermi-level density of states (states/eV/f.u.): 1.61

---

Record 2
VASP calculation (PBE-GGA) on a relaxed structure of MgIn2Se2.

The structure in POSCAR format:
```
MgIn2Se2
1.0
-1.6822 7.1592 0.1967
-6.3499 -1.5844 3.3602
2.1753 0.3931 4.2961
Mg Se In
2 4 4
-- stop --
I’ve once invented something with a friend of mine, we call it the ‘philosophy garden’. A place in a student city (here in the Netherlands we don’t have campusses and such) where students, the Romantic kind, can come together, read certain books and discuss them. A garden, where students can sit, hang out and discuss interesting, hard topics. Not a place to hang and drink beers with friends, but a place to develop the Romantic and Enthusiast student inside. A place where students can encourage each other to look further than the material you have to study for an A.
We still hope to realize this project, as it would be a great place to be!
For quite some time now, we have had your site on our blogroll, encouraging our readers to visit your site. Our target audience is high school seniors and college students. We engage them in conversations with the goal of appreciating that there are more than 2 or 3 ways to view any issue; there are at least 27.
Hopefully, the discussions in which we engage will better prepare them to make decisions as they navigate their college years. We believe that when people recognize that there are many different ways to view an issue, they also can devise more options to address difficulties.
It’s sort of like having more arrows in one’s quiver. Come check us out.
@Stefan : The description you made about your groupe remided me of the Dead Poets Society, I don’t know why. Anyway, I think it’s a great idea to have such projects ! Wish you luck in realizing it 😉
This sounded me getting things done through taking it to your heart; adding more spirituality.I guess that is the thing of this era. Great point.
Cal, you’ve struck gold. I’m looking forward to this conversation.
It’s so wonderful that you are writing about such things. It can be discouraging sometimes to see how students are treating their studies as torture devices, something to be avoided or gotten over with as soon as possible. It’s glorious when you sit down with a reading assignment and get caught up in the material because of how fascinating it is. Or you can’t wait to go to class or to learn, because it’s so enthralling to discover more. Learning is an art, and the subject learned is in itself an art, and the mastering of that art should be seen as enjoyable, challenging, and worthwhile. Can’t wait to hear more, Cal!
They key, from what I learnt from you, is to underschedule and to pursue what interests you.
Great article, Cal! I can’t wait to see you IN PERSON next week in Dallas, Texas at El Centro College!
🙁 Cal, How do your readers underschedule a rigid engineering course? For most schools, each year has around 6 to 8 required intensive classes – almost all with labs. Our electives are the only ones that are like breathers.
Great article Cal. I wish I had discovered you when I was in college, though I will be telling my friends who are in school about you.
So ironic that I’m taking Astronomy right now and just learned about Herschel’s discovery. I completely botched up my freshman year of college because I did the exact things like overscheduling, overworking, and getting involved in too many extracurriculars. This year is completely the opposite and I’m hoping for a big improvement.
Cannot wait for the series! =]
I’m very much looking forward to these series. It’s easy to get bogged down in what feels like something mundane, in the hopes it’s leading to something better, and then always feeling like you’re waiting.
Cal, I have a question: What strategy would you recommend students who have six exams in one week? I feel like I can’t memorize it all…
Hi k,
I understand your pain, as I was an engineering major as well. I’m currently working on a product that would help you handle the issue so that at least you have more sanity as an engineering major. Cal and Scott Young has a fair bit of tactics that would help you avoid doing stupid shit that takes up too much time though, which I would recommend you to read on my work while covering the essentials from their advices applicable to you.
Hope it brings your spirits up,
Oh yes. I can already taste the delicious fruits that will come of this labor. They will go very well in the salad I’ve come to know as college.
Thanks Cal. I studied philosophy and religion because I was lucky enough to have a dad who said “study what you want.” This choice has filled my life with the understanding that it is possible to find wonder in life. I work in finance now and with the help of some Zen meditation practices like staying in the moment, and your thoughts on loving what I do, I am able to do this work with joy. I am able to find wonder both at work (not as much) and outside work. A real pleasure to read this post.
I agree. Stay tuned…
Stefan, you should e-mail me with more details, this will be quite useful for future posts in the series.
There are obvious things you can do: spread out the courses, do very little outside of them, be very efficient. But if in the end, a certain major requires that you be overworked, change your majors. It’s a metaphor for life in general: avoid things that guarantee unhappiness.
Perfect timing. You were destined to read this series.
Start preparing EARLY.
By the way, the fact you majored in philosophy and religion and now work in finance is further evidence of the fact that people should stop stressing so much about their major choice.
Amazing! My thoughts are the same as your words. Looking forward to what is to come.
********
{
  "formula": "PrGdBrN",
  "functional": "PBE",
  "state": "optimized geometry",
  "lattice": [[3.676, 0.000, 0.000], [-1.838, 3.184, 0.000], [0.000, 0.000, 14.514]],
  "species": ["Pr", "Pr", "Gd", "Gd", "Br", "Br", "N", "N"],
  "frac_coords": [[0.000, 0.000, 0.161], [0.000, 0.000, 0.839], [0.667, 0.333, 0.342], [0.667, 0.333, 0.658], [0.000, 0.000, 0.500], [0.667, 0.333, 0.000], [0.333, 0.667, 0.268], [0.333, 0.667, 0.732]],
  "mass_density_g_cm3": 7.67,
  "e_tot_ev_per_atom": -6.292,
  "e_above_lowest_polymorph_mev_per_atom": 0.0,
  "crystal_system": "hexagonal",
  "spacegroup": "No. 187"
********
[Back to the text]
I’d like more information on the history and justification of Philosophic Libation Societies. At home, I was a member of a Cigar Club that focused the stimulation of fine tobacco on intellectual discussion, and now I am trying to found a chapter at my university.
Very True article. I wish I had found this blog earlier.
Here an interesting link for dream life:
Agreed. I’ve been building exactly that sort of attitude towards my education, which is partly why I take 60% course load and only take courses with the best profs, meaning constant insights and awe-inspiring wonders. I’ve also been building my own Philosophic Libation Society, except we’re in for paninis. I thought to myself after failing my first year due to deep procrastination (and other things), how I wanted to come back to school and decided to take control of my education and do it on my terms–terms that were sustainable over a long period (4+ years is a long time), and didn’t make me wish that school was over as quickly as possible. I wrote a bit more about that here:
Well done, love love love some of these ideas. I was into the Romantics in high school, then had it squeeeeeeezed out of me under the pressure of Uni :S
It’s too bad that you do not post more frequently. You generate very good stuff.
I am absolutely convinced that the development of “curiosity” in children goes hand and hand with your premise here, although it may not intuitively appear to do so.